-- begin --
Entry from OMol25: a single C19H16F2NO3P molecule (ωB97M-V/def2-TZVPD).

## Properties
- multiplicity = 1
- energy above the lowest of the compared OMol25 structures with the same formula, charge and spin (eV) = 0.0000
- SMILES string = Cc1cccc(NP(=O)(Oc2ccccc2F)Oc2ccccc2F)c1
- HOMO energy (eV) = -8.4
- Kohn-Sham gap (eV) = 9.3

XYZ file:
```
42
C19H16F2NO3P, DFT ωB97M-V/def2-TZVPD
C 1.02 -1.55 5.71
C 0.72 -0.75 4.48
C 1.03 0.61 4.44
C 0.77 1.35 3.30
C 0.19 0.76 2.19
C -0.12 -0.59 2.23
N -0.73 -1.22 1.13
P -0.87 -0.65 -0.41
O -1.32 -1.62 -1.40
O -1.86 0.60 -0.19
C -2.37 1.21 -1.31
C -3.47 0.69 -1.97
C -3.99 1.34 -3.08
C -3.40 2.50 -3.55
C -2.29 3.02 -2.91
C -1.78 2.37 -1.80
F -0.69 2.87 -1.19
O 0.47 0.16 -0.85
C 1.42 -0.43 -1.63
C 2.01 0.30 -2.66
C 2.99 -0.28 -3.44
C 3.38 -1.59 -3.23
C 2.80 -2.33 -2.21
C 1.83 -1.74 -1.42
F 1.28 -2.43 -0.40
C 0.15 -1.34 3.37
H 0.61 -2.56 5.63
H 0.59 -1.07 6.59
H 2.10 -1.62 5.87
H 1.48 1.08 5.30
H 1.01 2.40 3.27
H -0.02 1.34 1.31
H -0.83 -2.22 1.20
H -3.91 -0.22 -1.59
H -4.85 0.93 -3.58
H -3.80 3.00 -4.41
H -1.81 3.92 -3.26
H 1.68 1.31 -2.82
H 3.44 0.29 -4.24
H 4.14 -2.04 -3.85
H 3.09 -3.35 -2.01
H -0.10 -2.39 3.38
```

=====

Entry from OMol25: a single C24H26N2O6 molecule at a distorted geometry (ωB97M-V/def2-TZVPD).

## Properties
- multiplicity = 1
- energy above the lowest of the compared OMol25 structures with the same formula, charge and spin (eV) = 3.6485
- SMILES string = C=CCOc1cccc([C@H]2C(C(=O)c3ccco3)=C(O)C(=O)N2CCN2CCOCC2)c1
- HOMO energy (eV) = -8.4
- Kohn-Sham gap (eV) = 8.2

XYZ file:
```
58
C24H26N2O6, DFT ωB97M-V/def2-TZVPD
C -0.92 1.78 3.85
C -1.43 2.82 3.22
C -0.62 3.89 2.54
O -1.20 4.36 1.34
C -1.29 3.51 0.27
C -1.89 4.03 -0.88
C -2.02 3.25 -2.00
C -1.58 1.93 -2.01
C -0.99 1.41 -0.87
C -0.48 -0.01 -0.82
C 1.03 -0.04 -0.82
C 1.76 0.43 -2.00
O 1.26 0.41 -3.11
C 3.13 0.90 -1.79
C 4.12 1.14 -2.71
C 5.23 1.62 -1.98
C 4.83 1.64 -0.68
O 3.57 1.22 -0.55
C 1.45 -0.59 0.34
O 2.66 -0.88 0.81
C 0.26 -0.99 1.14
O 0.32 -1.52 2.24
N -0.83 -0.67 0.42
C -2.18 -0.85 0.87
C -2.96 -1.93 0.08
N -2.45 -3.28 0.10
C -1.32 -3.56 -0.77
C -1.17 -5.08 -0.87
O -0.96 -5.65 0.40
C -2.02 -5.34 1.27
C -2.21 -3.83 1.42
C -0.83 2.20 0.27
H -1.54 1.05 4.34
H 0.15 1.61 3.90
H -2.50 2.97 3.17
H 0.41 3.54 2.36
H -0.58 4.78 3.18
H -2.23 5.05 -0.86
H -2.48 3.66 -2.89
H -1.68 1.32 -2.89
H -0.87 -0.56 -1.69
H 4.04 0.99 -3.77
H 6.18 1.90 -2.37
H 5.34 1.94 0.22
H 2.52 -1.34 1.66
H -2.12 -1.13 1.92
H -2.72 0.10 0.79
H -3.97 -1.95 0.50
H -3.04 -1.62 -0.96
H -0.38 -3.14 -0.39
H -1.52 -3.15 -1.76
H -2.09 -5.50 -1.32
H -0.31 -5.34 -1.48
H -2.95 -5.79 0.89
H -1.77 -5.80 2.23
H -1.31 -3.41 1.89
H -3.07 -3.63 2.05
H -0.36 1.77 1.14
```

=====

Entry from OMol25: a single C25H34F2N2O molecule (ωB97M-V/def2-TZVPD).

## Properties
- multiplicity = 1
- energy above the lowest of the compared OMol25 structures with the same formula, charge and spin (eV) = 0.0000
- SMILES string = O=C(CC[C@@H]1CCCN([C@H]2[C@@H]3C[C@H]4C[C@@H](C3)C[C@@H]2C4)C1)NCc1ccc(F)c(F)c1
- HOMO energy (eV) = -8.5
- Kohn-Sham gap (eV) = 9.1

XYZ file:
```
64
C25H34F2N2O, DFT ωB97M-V/def2-TZVPD
O -4.24 -2.39 1.68
C -3.83 -2.52 0.55
C -2.56 -3.29 0.20
C -1.53 -2.52 -0.62
C -0.80 -1.41 0.15
C -1.72 -0.25 0.53
C -0.89 0.83 1.20
C 0.28 1.25 0.32
N 1.14 0.10 0.06
C 2.41 0.40 -0.61
C 3.38 -0.80 -0.46
C 4.65 -0.55 -1.25
C 5.36 0.69 -0.71
C 5.71 0.48 0.76
C 4.43 0.24 1.55
C 3.71 -1.00 1.02
C 3.49 1.44 1.42
C 3.14 1.63 -0.05
C 4.42 1.88 -0.85
C 0.36 -0.87 -0.68
N -4.52 -2.07 -0.53
C -5.66 -1.19 -0.39
C -5.22 0.25 -0.38
C -5.00 0.93 -1.58
C -4.50 2.21 -1.58
C -4.20 2.83 -0.38
F -3.70 4.08 -0.38
C -4.41 2.16 0.82
F -4.13 2.76 1.99
C -4.92 0.87 0.82
H -2.12 -3.62 1.14
H -2.87 -4.18 -0.35
H -1.99 -2.08 -1.51
H -0.78 -3.24 -0.96
H -0.39 -1.84 1.07
H -2.51 -0.58 1.20
H -2.18 0.16 -0.38
H -0.49 0.45 2.15
H -1.50 1.70 1.43
H 0.84 2.02 0.85
H -0.10 1.69 -0.62
H 2.23 0.57 -1.69
H 2.91 -1.71 -0.84
H 4.42 -0.41 -2.31
H 5.31 -1.42 -1.17
H 6.27 0.88 -1.29
H 6.22 1.36 1.15
-- stop --
Work out how many lines further above have the word "compared" in them; a number is enough, please.
3